City of York Council

Committee Minutes


Decision Session - Executive Member for Children, Young People and Education


8 November 2022


Councillor Waller

In Attendance

Alison Edeson (Skills Team Manager)

Martin Kelly (Corporate Director Children and Education)

Rob Newton (Social Mobility Project Manager)

Nicola Sawyer (Early Years Entitlement and Sufficiency Manager)

Maxine Squire (Assistant Director Education and Skills)




17.         Declarations of Interest [10.00]


The Executive Member was asked to declare any personal interests not included on the Register of Interests, any prejudicial interests or any disclosable pecuniary interests that he may have in respect of business on the agenda. None were declared.




18.         Minutes [10.01]


Resolved:  That the minutes of the Decision Session held on 15 March 2022 be approved and signed by the Executive Member as a correct record.




19.         Public Participation [10.02]


It was reported that there had been one registration to speak at the meeting under the Council’s Public Participation Scheme. Cllr Lomas, Ward Councillor for Acomb, spoke on agenda item 4 Childcare Sufficiency Review. She explained problems with travel in Acomb and that it was poorly served regarding a lack of access and suitable childcare. She outlined what good childcare for vulnerable families would be, and explained that there was a lack of provision for disabled children and children with additional needs. She asked if the Executive Member would work with the two local MPs in contacting the Secretary of State regarding childcare.


In response to comments made by Cllr Lomas, the Executive Member noted that active travel had not been blocked and that he had asked that all schools were consulted on it.




20.         Childcare Sufficiency Review [10.07]


The Executive Member considered a report that provided an on a review of childcare sufficiency across the city to understand the impact of low funding and recruitment and retention challenges on the early years and childcare sector. He noted that there were pressures due to a number of providers closing. The Assistant Director Education and Skills explained the access arrangements  to childcare for children with SEND and she urged those parents to have discussions with their local childcare settings. Regarding housing developments, she explained that Section 106 (S106) contributions were written into developments.

The Assistant Director Education and Skills explained that the position was challenging for early years settings as they were funded in the same way as schools and there were national issues around funding. The Early Years Entitlement and

Sufficiency Manager outlined the report, detailing the duty to provide sufficient early years and childcare, as far as is reasonably practicable. She explained that the Family Information Service supported families in finding childcare and that the council worked closely with providers regarding supply through the survey. She reported that  only 85 providers had replied to the survey this year compared to over 130 last year and that there were also regular meetings with providers through the early years network which enabled further local intelligence to be gathered. She noted that issues with the sector were from historic underfunding, COVID and the current economic climate. She added that Ofsted had recommenced inspections following the pandemic and this causing an added pressure on settings.

The Early Years Entitlement and Sufficiency Manager noted the current situation for unmet demand from the provider point of view and added that although a number of providers had recently closed the vast majority expected to remain open for a further year. She was asked and confirmed that the Childcare Sufficiency Assessment would be completed during January 2023. The Executive Member noted the fragility of the childcare market and the importance to give the opportunity to childcare to all children in the city.

### Inserted here: quantum chemistry results
........
{"formula": "C4H24O9", "method": "ωB97M-V/def2-TZVPD", "gap_ev": [8.16, 2.43], "total_charge": 1, "homo_ev": [-13.51, -13.00], "spin_multiplicity": 2, "e_lumo_ha": [-0.1964, -0.3887], "s_squared": 0.7567, "elements": ["C", "C", "C", "C", "O", "H", "H", "H", "H", "H", "H", "H", "H", "H", "H", "O", "H", "H", "O", "H", "H", "O", "H", "H", "O", "H", "H", "O", "H", "H", "O", "H", "H", "O", "H", "H", "O"], "xyz": [[1.0335, -3.0586, -0.3864], [1.8879, -2.3126, -1.3963], [1.4109, -2.7528, -2.7712], [3.3392, -2.7504, -1.1138], [0.3354, -2.4484, 0.4054], [0.8538, -4.1588, -0.4571], [1.7951, -1.2442, -1.2755], [0.3320, -2.9141, -2.8864], [1.8233, -3.7203, -3.0828], [1.6956, -2.0693, -3.5642], [3.9808, -2.6685, -1.9870], [3.4948, -3.7932, -0.8213], [3.8083, -1.9687, -0.5213], [-1.7876, 3.1631, 0.0710], [-3.1455, 2.7160, 0.6281], [-2.7716, 3.2341, -0.1081], [-0.4807, -0.7885, -0.3286], [0.3831, 0.4232, -0.5211], [-0.5380, 0.1488, -0.5393], [-0.5579, 0.8052, 3.9920], [-0.4810, 2.3291, 4.0040], [-0.0242, 1.5301, 4.2774], [-1.1175, 0.1974, 2.1378], [-2.4202, -0.2824, 2.9211], [-1.8424, 0.4661, 2.6500], [-3.5234, 1.4020, -2.0198], [-2.4981, 0.8781, -1.1076], [-2.7982, 0.7601, -2.0440], [-0.2053, 1.2146, -2.1024], [-0.0795, 2.2262, -3.3591], [0.3729, 1.6695, -2.7565], [-0.4460, 2.1889, 1.5097], [0.2343, 3.3742, 1.0374], [-0.5886, 3.1434, 1.4823], [1.3481, -0.5725, 1.2602], [1.7540, 0.5187, 2.2468], [1.4450, 0.3699, 1.3479]]}

----------

DFT (ωB97M-V/def2-TZVPD) results for a single C3H7N3OS molecule in a non-equilibrium geometry.

```
15
Properties=species:S:1:pos:R:3:forces:R:3:nbo_charge:R:1
C -2.0392 0.4989 1.9578 -0.081 0.572 0.478 -0.02
C 0.7591 -0.2130 -0.7702 -0.187 -0.568 -0.444 0.49
C 1.4431 0.2406 -2.0265 -0.014 0.089 0.089 -0.66
N -1.2377 -0.3017 1.4284 0.699 -0.633 -0.266 -0.67
N 0.9750 0.4183 0.3136 0.319 0.659 1.021 -0.77
N -0.0280 -1.3067 -0.8808 -0.054 -0.271 -0.131 -0.81
O 0.5425 1.1265 2.6663 0.235 0.582 0.535 -0.95
S 0.4792 -0.0601 1.8411 -0.736 -0.305 -0.947 1.52
H -3.0981 0.4218 1.7464 -0.181 -0.108 -0.089 0.17
H -1.7081 1.2927 2.6325 0.059 0.016 0.007 0.19
H 2.0620 -0.5648 -2.4172 0.040 -0.062 -0.062 0.23
H 0.7055 0.5090 -2.7807 -0.044 0.001 -0.082 0.22
H 2.0664 1.1015 -1.8105 0.003 0.008 0.013 0.25
H -0.2694 -1.6600 -1.7906 0.069 0.025 0.047 0.39
H -0.6522 -1.5031 -0.1095 -0.126 -0.006 -0.170 0.43
```
Positions in Å, forces in eV/Å.

Results
LUMO energy, eV: 0.847
Total charge: 0
Energy, hartree: -756.16848

----------

1.
Formula: C27H18F6N3OSTi
Source: the Open Molecules 2025 dataset
Level of theory: the ωB97M-V functional and the def2-TZVPD basis

Calculated values
- E: -3126.079127 a.u.
- Spin multiplicity: 2
- HOMO-LUMO gap (spin up / spin down): 6.113 / 6.750 eV
- Strongest force on any atom: 0.07538 hartree/bohr
- HOMO level (spin up / spin down): -6.65 / -8.02 eV

Geometry (Å):
Ti 0.715 0.607 0.189
C -3.094 -0.806 -1.165
C -1.944 0.033 -0.704
N -0.769 -0.498 -0.386
N -0.536 -1.824 -0.420
C 0.646 -2.050 0.102
O 1.344 -1.037 0.536
........


In response to a question from the Executive Member on the training and retention of early years staff, the Skills Team Manager explained that there was a workforce development campaign for the sector, and she highlighted the apprenticeship levy transfer. She encouraged businesses to contact the apprenticeship hub regarding the apprenticeship levy transfer.


The Early Years Entitlement and Sufficiency Manager was asked and confirmed that there was early years networking and that the improvement advisor team worked closely with the sector. She added that information sessions had been provided and the sector had been asked to provide feedback at other meetings.


The Executive Member thanked staff in response to pressures on the service and he;


Resolved: That;

                     i.        The content of the report be noted.

                    ii.        That the Executive Member, in conjunction with Officers, raise the issue of low funding, recruitment and retention and status of the sector as vulnerable with the Secretary of State for Education.

                  iii.        That Officers contact Ward Councillors in the Acomb, Bishopthorpe, City Centre, Dringhouses and Woodthorpe, Haxby and Wigginton, Huntington and New Earswick, Rawcliffe and Clifton Without and Rural West Wards about unmet demand. Due to amendments in the data, contact will be made with the ward councillors in the following wards Acomb, Bishopthorpe, City Centre, Dringhouses and Woodthorpe, Heworth and Heworth Without and Rawcliffe and Clifton Without

                  iv.        That a report on the Childcare Sufficiency Assessment be presented to the Executive Member at his Decision Session in February 2022.


Reason:     To acknowledge the challenges faced by the early years and childcare sector in York, regionally and nationally and to escalate to the Secretary of State for Education to implement national solutions and provide continued support with the cost of living. 





21.         Early Talk for York [10.25]


The Executive Member considered a report that detailed the  outcomes of Early Talk for York and asked him to support the full rollout of the Early Talk for York approach. The Social Mobility Project Manager outlined the report detailing the aims, development and outcome of the scheme. He explained the work undertaken with the three schools involved in the scheme and how universal screening had been scaled up across the city. He noted the outcomes and impact of Early Talk for York, including the difference in outcomes for disadvantaged children involved in the scheme. He also noted the impact of COVID. He outlined the current position noting that the offer of a universal screening tool had been made, with 82% of providers signed up to using the tool. He added that there had been great partnership working, for example with family learning and the University of York. He then explained the next steps which was to expand universal screening.


In response to questions from the Executive Member, he explained that:

·        Despite COVID, there had been improvements in outcomes nationally and improvements had been learnt as a result of Early Talk for York.

·        Regarding the longevity of work to ensure long term improvements in social mobility and equality of access to education, schools and academies were maintaining investment in Early Talk for York.


The Executive Member acknowledged the flexibility of the approach for each setting, He thanked staff for their work on Early Talk for York and then;


Resolved: That;

                     i.        Support be given to the full rollout of Early Talk for York across the city.

                    ii.        A report measuring the outcomes of the full rollout of Early Talk for York be presented to the Executive Member in one year (November 2023).


Reason:     Early Talk for York is demonstrating impact on improving children’s outcomes in line with the original Theory of Change.  Of particular note is that children’s outcomes have continued to improve in the Early Talk for York area during the pandemic window whilst those in other areas have declined.  This is particularly so for those children who are disadvantaged.  As this work has demonstrated Early Talk for York appears to be an effective way of improving outcomes, particularly for the disadvantaged cohort, a roll out across the city is recommended so more children can benefit from this approach.





22.         Apprenticeships Update [10.40]


The Executive Member considered a report which provided an update on apprenticeships. The Skills Team Manager explained that the report covered a six month period. She reported that the quarter 3 apprenticeship figures for York were promising, with 980 apprenticeship starts, including a circa 14% increase on 16-18 year old apprenticeship starts. She added that the national full-year provisional figure was showing similar improvements.


The Skills Team Manager noted that there had been between 100 and 180 vacancies listed each week on the national website, within a 15-mile radius of York. Following the usual ‘dip’ in September, there had been an uplift in advertised vacancies during October, with a range of entry level roles. She explained that work with the apprenticeship hub took place across the city with 725 students in Year 7 to 11 taking part and she noted the work with NYBEP.  She noted that at the council there were 80 active apprenticeships, which was a 50% increase on the previous year. She advised that the council had met its public sector target for 2021/22. She invited businesses to apply for the apprenticeship levy.


The Executive Member thanked the Skills Team Manager and teams for their work on apprenticeships. He noted the interest from the FSB regarding the levy transfer. He then;


Resolved: That;

                     i.        The content of the report be noted.

                    ii.        Future Apprenticeships Update reports be presented quarterly with the next report to include an update on information to changes in legislation.


Reason:     To continue to encourage the creation of apprenticeship opportunities in York, by supporting local businesses to access available funding and to support routes to employment for residents. 








Cllr  Waller, Executive Member

[The meeting started at 10.00 am and finished at 10.47 am].